== Contents ==
~~~
Si | PBE-GGA | relaxed

Cell: 17.6455 17.6455 17.6455 Å, 90.00 90.00 90.00°
Closest atoms and distances in Å follow each position.
Fractional coordinates of all 232 atoms:
Si: 0.5958 0.1059 0.1843  4 Si 2.33-2.38
Si: 0.3897 0.7365 0.2863  4 Si 2.37-2.39
Si: 0.7316 0.0185 0.5832  4 Si 2.37-2.45
Si: 0.8897 0.7365 0.2137  4 Si 2.37-2.39
Si: 0.0958 0.1059 0.3157  4 Si 2.33-2.38
Si: 0.0268 0.1974 0.7033  4 Si 2.37-2.45
Si: 0.6843 0.5958 0.3941  4 Si 2.33-2.38
Si: 0.5268 0.3026 0.2967  4 Si 2.37-2.45
Si: 0.0842 0.8958 0.0266  4 Si 2.38-2.41
Si: 0.5626 0.9554 0.8937  4 Si 2.32-2.33
Si: 0.4158 0.3958 0.0266  4 Si 2.38-2.41
Si: 0.7684 0.5185 0.5832  4 Si 2.37-2.45
Si: 0.2660 0.7340 0.2340  4 Si 2.33-2.37
Si: 0.4734 0.9158 0.3958  4 Si 2.38-2.41
Si: 0.1081 0.1924 0.9016  4 Si 2.37-2.40
Si: 0.6974 0.7967 0.9732  4 Si 2.37-2.45
Si: 0.4732 0.6974 0.7033  4 Si 2.37-2.45
Si: 0.1897 0.8103 0.3103  4 Si 2.33-2.38
Si: 0.7635 0.7137 0.8897  4 Si 2.37-2.39
Si: 0.2625 0.8459 0.4181  4 Si 2.38-2.40
Si: 0.7713 0.9868 0.4589  4 Si 2.33-2.37
Si: 0.3897 0.7635 0.7863  4 Si 2.37-2.39
Si: 0.0132 0.9589 0.7287  4 Si 2.33-2.37
Si: 0.9554 0.8937 0.5626  4 Si 2.32-2.33
Si: 0.2375 0.3459 0.4181  4 Si 2.38-2.40
Si: 0.0446 0.1063 0.4374  4 Si 2.32-2.33
Si: 0.9042 0.8941 0.6843  4 Si 2.33-2.38
Si: 0.7137 0.8897 0.7635  4 Si 2.37-2.39
Si: 0.4554 0.6063 0.4374  4 Si 2.32-2.33
Si: 0.0411 0.2713 0.9868  4 Si 2.33-2.37
Si: 0.1924 0.9016 0.1081  4 Si 2.37-2.40
Si: 0.8459 0.4181 0.2625  4 Si 2.38-2.40
Si: 0.9016 0.1081 0.1924  4 Si 2.37-2.40
Si: 0.4734 0.5842 0.8958  4 Si 2.38-2.41
Si: 0.8919 0.6924 0.5984  4 Si 2.37-2.40
Si: 0.2713 0.5132 0.5411  4 Si 2.33-2.37
Si: 0.8076 0.4016 0.3919  4 Si 2.37-2.40
Si: 0.5185 0.5832 0.7684  4 Si 2.37-2.45
Si: 0.0446 0.3937 0.9374  4 Si 2.32-2.33
Si: 0.5132 0.9589 0.7713  4 Si 2.33-2.37
Si: 0.1924 0.5984 0.6081  4 Si 2.37-2.40
Si: 0.7340 0.2340 0.2660  4 Si 2.33-2.37
Si: 0.2316 0.0185 0.9168  4 Si 2.37-2.45
Si: 0.3937 0.5626 0.5446  4 Si 2.32-2.33
Si: 0.8897 0.7635 0.7137  4 Si 2.37-2.39
Si: 0.5626 0.5446 0.3937  4 Si 2.32-2.33
Si: 0.7625 0.8459 0.0819  4 Si 2.38-2.40
Si: 0.0832 0.7316 0.4815  4 Si 2.37-2.45
Si: 0.4016 0.3919 0.8076  4 Si 2.37-2.40
Si: 0.6103 0.2635 0.7137  4 Si 2.37-2.39
Si: 0.5832 0.7684 0.5185  4 Si 2.37-2.45
Si: 0.4554 0.8937 0.9374  4 Si 2.32-2.33
Si: 0.6063 0.4374 0.4554  4 Si 2.32-2.33
Si: 0.9868 0.4589 0.7713  4 Si 2.33-2.37
Si: 0.7635 0.7863 0.3897  4 Si 2.37-2.39
Si: 0.7287 0.0132 0.9589  4 Si 2.33-2.37
Si: 0.2287 0.4868 0.0411  4 Si 2.33-2.37
Si: 0.4732 0.8026 0.2033  4 Si 2.37-2.45
Si: 0.1042 0.5266 0.4158  4 Si 2.38-2.41
Si: 0.4868 0.0411 0.2287  4 Si 2.33-2.37
Si: 0.9181 0.2375 0.1541  4 Si 2.38-2.40
Si: 0.2287 0.0132 0.5411  4 Si 2.33-2.37
Si: 0.3157 0.4042 0.6059  4 Si 2.33-2.38
Si: 0.2137 0.8897 0.7365  4 Si 2.37-2.39
Si: 0.9168 0.2684 0.5185  4 Si 2.37-2.45
Si: 0.9168 0.2316 0.0185  4 Si 2.37-2.45
Si: 0.4158 0.1042 0.5266  4 Si 2.38-2.41
Si: 0.7863 0.3897 0.7635  4 Si 2.37-2.39
Si: 0.8937 0.5626 0.9554  4 Si 2.32-2.33
Si: 0.5842 0.8958 0.4734  4 Si 2.38-2.41
Si: 0.8076 0.0984 0.8919  4 Si 2.37-2.40
Si: 0.1103 0.2365 0.2863  4 Si 2.37-2.39
Si: 0.9158 0.1042 0.9734  4 Si 2.38-2.41
Si: 0.3958 0.4734 0.9158  4 Si 2.38-2.41
Si: 0.8157 0.0958 0.3941  4 Si 2.33-2.38
Si: 0.1059 0.3157 0.0958  4 Si 2.33-2.38
Si: 0.5266 0.4158 0.1042  4 Si 2.38-2.41
Si: 0.0411 0.2287 0.4868  4 Si 2.33-2.37
Si: 0.5984 0.6081 0.1924  4 Si 2.37-2.40
Si: 0.7863 0.1103 0.2635  4 Si 2.37-2.39
Si: 0.6541 0.5819 0.7625  4 Si 2.38-2.40
Si: 0.9374 0.4554 0.8937  4 Si 2.32-2.33
Si: 0.2684 0.9815 0.4168  4 Si 2.37-2.45
Si: 0.8026 0.2967 0.9732  4 Si 2.37-2.45
Si: 0.7137 0.6103 0.2635  4 Si 2.37-2.39
Si: 0.6081 0.1924 0.5984  4 Si 2.37-2.40
Si: 0.0819 0.7625 0.8459  4 Si 2.38-2.40
Si: 0.0984 0.6081 0.3076  4 Si 2.37-2.40
Si: 0.0984 0.8919 0.8076  4 Si 2.37-2.40
Si: 0.3941 0.6843 0.5958  4 Si 2.33-2.38
Si: 0.5958 0.3941 0.6843  4 Si 2.33-2.38
Si: 0.4181 0.2625 0.8459  4 Si 2.38-2.40
Si: 0.9868 0.0411 0.2713  4 Si 2.33-2.37
~~~
== Work order ==
Find "0.8941 0.6843" and "0.3157 0.0958" in the entries further above, and type out these two lines and those between.
== Reply ==
Si: 0.9042 0.8941 0.6843  4 Si 2.33-2.38
Si: 0.7137 0.8897 0.7635  4 Si 2.37-2.39
Si: 0.4554 0.6063 0.4374  4 Si 2.32-2.33
Si: 0.0411 0.2713 0.9868  4 Si 2.33-2.37
Si: 0.1924 0.9016 0.1081  4 Si 2.37-2.40
Si: 0.8459 0.4181 0.2625  4 Si 2.38-2.40
Si: 0.9016 0.1081 0.1924  4 Si 2.37-2.40
Si: 0.4734 0.5842 0.8958  4 Si 2.38-2.41
Si: 0.8919 0.6924 0.5984  4 Si 2.37-2.40
Si: 0.2713 0.5132 0.5411  4 Si 2.33-2.37
Si: 0.8076 0.4016 0.3919  4 Si 2.37-2.40
Si: 0.5185 0.5832 0.7684  4 Si 2.37-2.45
Si: 0.0446 0.3937 0.9374  4 Si 2.32-2.33
Si: 0.5132 0.9589 0.7713  4 Si 2.33-2.37
Si: 0.1924 0.5984 0.6081  4 Si 2.37-2.40
Si: 0.7340 0.2340 0.2660  4 Si 2.33-2.37
Si: 0.2316 0.0185 0.9168  4 Si 2.37-2.45
Si: 0.3937 0.5626 0.5446  4 Si 2.32-2.33
Si: 0.8897 0.7635 0.7137  4 Si 2.37-2.39
Si: 0.5626 0.5446 0.3937  4 Si 2.32-2.33
Si: 0.7625 0.8459 0.0819  4 Si 2.38-2.40
Si: 0.0832 0.7316 0.4815  4 Si 2.37-2.45
Si: 0.4016 0.3919 0.8076  4 Si 2.37-2.40
Si: 0.6103 0.2635 0.7137  4 Si 2.37-2.39
Si: 0.5832 0.7684 0.5185  4 Si 2.37-2.45
Si: 0.4554 0.8937 0.9374  4 Si 2.32-2.33
Si: 0.6063 0.4374 0.4554  4 Si 2.32-2.33
Si: 0.9868 0.4589 0.7713  4 Si 2.33-2.37
Si: 0.7635 0.7863 0.3897  4 Si 2.37-2.39
Si: 0.7287 0.0132 0.9589  4 Si 2.33-2.37
Si: 0.2287 0.4868 0.0411  4 Si 2.33-2.37
Si: 0.4732 0.8026 0.2033  4 Si 2.37-2.45
Si: 0.1042 0.5266 0.4158  4 Si 2.38-2.41
Si: 0.4868 0.0411 0.2287  4 Si 2.33-2.37
Si: 0.9181 0.2375 0.1541  4 Si 2.38-2.40
Si: 0.2287 0.0132 0.5411  4 Si 2.33-2.37
Si: 0.3157 0.4042 0.6059  4 Si 2.33-2.38
Si: 0.2137 0.8897 0.7365  4 Si 2.37-2.39
Si: 0.9168 0.2684 0.5185  4 Si 2.37-2.45
Si: 0.9168 0.2316 0.0185  4 Si 2.37-2.45
Si: 0.4158 0.1042 0.5266  4 Si 2.38-2.41
Si: 0.7863 0.3897 0.7635  4 Si 2.37-2.39
Si: 0.8937 0.5626 0.9554  4 Si 2.32-2.33
Si: 0.5842 0.8958 0.4734  4 Si 2.38-2.41
Si: 0.8076 0.0984 0.8919  4 Si 2.37-2.40
Si: 0.1103 0.2365 0.2863  4 Si 2.37-2.39
Si: 0.9158 0.1042 0.9734  4 Si 2.38-2.41
Si: 0.3958 0.4734 0.9158  4 Si 2.38-2.41
Si: 0.8157 0.0958 0.3941  4 Si 2.33-2.38
Si: 0.1059 0.3157 0.0958  4 Si 2.33-2.38